Today’s Instagram, Tomorrow’s Doctrine
June 27th, 2016
Aaron Barruga
## These molecular data were left in the article by mistake
{
  "formula": "C30H52BrN3P2PdS",
  "method": "the ωB97M-V functional and the def2-TZVPD basis",
  "species": ["N", "C", "C", "C", "C", "C", "C", "Pd", "P", "C", "C", "C", "C", "C", "C", "C", "Br", "H", "H", "H", "H", "H", "H", "H", "H", "H", "H", "P", "C", "C", "H", "H", "H", "H", "H", "C", "C", "H", "H", "H", "H", "H", "C", "C", "H", "H", "H", "H", "H", "C", "C", "H", "H", "H", "H", "H", "C", "C", "H", "H", "H", "H", "H", "C", "C", "H", "H", "H", "H", "H", "C", "C", "N", "C", "S", "N", "C", "C", "H", "H", "H", "H", "H", "H", "H", "H", "H", "H", "H", "H"],
  "coordinates": [[-3.451, 2.761, -9.452], [-2.377, 1.960, -9.524], [-1.820, 1.353, -8.396], [-2.366, 1.577, -7.107], [-3.494, 2.444, -7.058], [-3.999, 2.981, -8.260], [-1.780, 0.977, -5.912], [0.323, -0.194, 0.225], [-2.068, -2.507, 3.592], [-2.282, 1.093, -4.651], [-1.832, 0.347, -3.513], [-2.642, 0.069, -2.374], [-2.140, -0.743, -1.337], [-0.804, -1.278, -1.465], [-0.043, -1.025, -2.638], [-0.544, -0.220, -3.627], [0.208, -2.835, -0.619], [-0.902, 0.355, -6.151], [-3.210, 1.654, -4.529], [-0.959, 0.698, -8.542], [-3.990, 2.700, -6.137], [-1.969, 1.789, -10.526], [-4.892, 3.609, -8.257], [-3.663, 0.474, -2.371], [0.035, -0.058, -4.532], [-2.698, -0.932, -0.415], [0.951, -1.453, -2.747], [-0.083, 1.779, 1.031], [-1.676, -3.287, 2.004], [-2.255, -4.695, 1.963], [-0.584, -3.331, 1.955], [-1.996, -2.684, 1.145], [-1.825, -5.231, 1.114], [-1.990, -5.218, 2.888], [-3.344, -4.678, 1.864], [-3.450, -1.364, 3.209], [-4.323, -1.167, 4.457], [-4.044, -1.831, 2.409], [-3.067, -0.407, 2.823], [-5.203, -0.567, 4.194], [-4.664, -2.143, 4.831], [-3.768, -0.649, 5.253], [-0.647, -1.469, 4.113], [0.300, -2.291, 4.999], [-1.043, -0.607, 4.675], [-0.138, -1.075, 3.217], [1.124, -1.660, 5.344], [-0.236, -2.661, 5.880], [0.715, -3.133, 4.435], [1.159, 2.225, 2.282], [1.330, 3.732, 2.504], [2.116, 1.756, 1.979], [0.842, 1.717, 3.209], [1.984, 4.166, 1.734], [0.371, 4.278, 2.527], [1.824, 3.854, 3.478], [-1.704, 1.610, 1.855], [-2.850, 2.390, 1.218], [-1.551, 1.847, 2.920], [-1.924, 0.531, 1.797], [-2.651, 3.473, 1.212], [-3.027, 2.037, 0.192], [-3.771, 2.205, 1.787], [-0.148, 2.981, -0.328], [1.194, 3.447, -0.894], [-0.740, 3.838, 0.023], [-0.731, 2.511, -1.139], [1.020, 3.724, -1.942], [1.573, 4.329, -0.363], [1.959, 2.661, -0.884], [4.889, -4.153, 0.808], [4.962, -2.645, 0.626], [3.656, -1.986, 0.760], [3.619, -0.632, 0.650], [2.551, 0.142, -0.457], [4.532, 0.147, 1.281], [5.077, -0.096, 2.650], [6.376, 0.649, 2.905], [4.622, -4.392, 1.844], [5.887, -4.551, 0.590], [4.179, -4.649, 0.137], [5.619, -2.214, 1.384], [5.403, -2.414, -0.360], [2.898, -2.451, 0.245], [4.369, 1.137, 1.083], [4.350, 0.266, 3.400], [5.227, -1.170, 2.799], [6.244, 1.734, 2.901], [6.712, 0.368, 3.911], [7.157, 0.370, 2.194]],

Our attention spans are garbage. I can’t remember the last time I waited for an Uber to arrive and decided not to spend the downtime thumbing through Facebook and Instagram. As a millennial, I am guilty of forfeiting periods of self-reflection in exchange for the external stimulus provided by social media.
But is this dynamic something to be concerned with? In small doses, probably not, but my default to social media extends beyond waiting for Ubers to running errands, coffee lines, and as a work distraction (current piece included). The result, I am continuously seeking new content that reinforces “my” point of view.
=====
(1)
{"formula": "C17H16N4O4", "method": "ωB97M-V/def2-TZVPD", "species": ["C", "C", "C", "C", "C", "C", "C", "O", "C", "N", "C", "N", "C", "C", "N", "O", "C", "O", "N", "C", "C", "C", "O", "C", "C", "H", "H", "H", "H", "H", "H", "H", "H", "H", "H", "H", "H", "H", "H", "H", "H"], "coordinates": [[-3.297, -4.337, -0.779], [-3.692, -3.405, 0.525], [-5.017, -2.764, 0.289], [-2.688, -2.405, 0.976], [-2.340, -2.239, 2.320], [-1.241, -1.465, 2.652], [-0.577, -0.688, 1.670], [0.427, 0.115, 2.141], [1.051, 1.014, 1.259], [1.994, 1.702, 1.925], [2.660, 2.624, 1.125], [3.372, 3.636, 1.812], [2.612, 2.595, -0.287], [3.625, 3.307, -0.990], [3.043, 3.894, -2.167], [3.275, 3.233, -3.378], [4.266, 2.414, -3.106], [4.809, 1.657, -3.854], [4.559, 2.381, -1.796], [1.670, 1.773, -0.886], [0.795, 0.976, -0.128], [-0.163, 0.038, -0.646], [-0.495, 0.303, -1.805], [-0.950, -0.781, 0.303], [-1.965, -1.661, -0.031], [-2.397, -4.887, -0.647], [-4.113, -4.989, -1.119], [-3.150, -3.727, -1.721], [-3.846, -4.147, 1.327], [-5.048, -2.153, -0.603], [-5.811, -3.492, 0.160], [-5.216, -2.143, 1.155], [-2.945, -2.659, 3.134], [-0.872, -1.534, 3.697], [3.166, 4.576, 1.512], [3.502, 3.441, 2.850], [4.161, 3.949, -0.409], [2.041, 4.063, -1.991], [5.349, 1.962, -1.405], [1.723, 1.686, -1.996], [-2.278, -1.860, -1.086]], "lowdin_charge": [-0.04, -0.37, -0.09, -0.20, -0.02, 0.01, -0.17, 0.08, -0.20, 0.20, -0.26, 0.10, -0.15, -0.24, 0.02, 0.09, -0.64, 0.11, 0.20, 0.10, -0.06, -0.29, 0.08, -0.06, 0.07, 0.05, 0.07, 0.08, 0.13, 0.08, 0.08, 0.08, 0.13, 0.13, 0.10, 0.13, 0.11, 0.15, 0.13, 0.16, 0.14], "e_lumo_ev": -0.642, "smiles": "CC(C)c1ccc2oc3nc(N)c([C@@H]4NOC(=O)N4)cc3c(=O)c2c1"}

=====

(2)
{"formula": "C3H5F2N3", "method": "ωB97M-V/def2-TZVPD", "species": ["N", "C", "C", "N", "F", "C", "N", "F", "H", "H", "H", "H", "H"], "coordinates": [[-2.973, 0.910, 1.069], [-2.246, 0.354, 0.393], [-1.204, -0.313, -0.319], [-1.410, -1.948, -0.258], [-1.222, -0.051, -1.662], [0.109, 0.389, 0.266], [0.309, 1.680, -0.127], [1.205, -0.386, -0.150], [-1.747, -2.276, 0.657], [-0.519, -2.430, -0.335], [0.032, 0.473, 1.324], [0.836, 2.301, 0.350], [0.457, 1.801, -1.206]], "lowdin_charge": [0.21, -0.17, -0.39, 0.11, 0.05, -0.38, 0.11, -0.01, 0.07, 0.06, 0.14, 0.05, 0.16], "e_lumo_ev": 0.736, "smiles": "N#C[C@@](N)(F)[C@H](N)F"}
=====
# So much for the quantum chemistry results
The visual medium is powerful and a fifteen second Instagram video can easily accomplish what 1500 words cannot. However, substituting visuals for text comes at the deterioration of our deep focus and willingness to thoroughly examine arguments. We forgo substantiating our own beliefs with evidence (or dare I say experience), and instead reinforce our superficial expertise by simply watching a video.
Accompanying our echo chamber is the perception that we are capable, rational, and intelligent individuals; and that anyone who disagrees with us is both wrong and delusional. Our deep attention and focus already eroded by the brevity of social media, we also lose our patience for curiosity when confronted with opposing views.
Rather than first attempting to understand how our opposition arrived at their point of view, and then afterwards engaging in debate. We instead fill cognitive sandbags and entrench in our own belief system. But how are we so sure we are right? Because everyday (and for some every hour) we are bombarded with new content on social media that reinforces our point of view.
Although social media is a powerful tool that has built a community and united shooters on unprecedented levels, it is also the platform that allows for the rapid decay of objective knowledge, because we (millenials) are conditioned to constantly seek something new, and upon discovery will associate new with better.
Millenials are now more representative of average adults in America. Born between 1980 and 2000, millenials number 83 million and represent one quarter of the US population. For today’s military and law enforcement leadership, a majority of mid-level and soon to be senior leadership embodies the tech savvy, social media oriented demographic of twenty to thirty year olds.
This group of leaders will decide in the next decade what becomes doctrine for both the future of military and law enforcement training. Like it or not, social media will be a key influencer in this process. Current and soon to be training supervisors already connect with the training narratives created in fifteen second Instagram videos. This dual edged sword allows for greater access to information, but also allows for deviation away from lessons learned in the real world.
From lessons learned we build doctrine and standard operating procedures. Unfortunately, this process involves losing brothers and sisters in the line of duty. Learning from their mistakes and shortcomings, we attempt to find new and better techniques for engaging dangerous situations. However, we must exercise a healthy dose of caution in this process, and recognize that new techniques in their infancy must first survive critique and peer review before being endorsed as acceptable. Unfortunately, social media encourages us to shortcut the validation process and sanction incomplete or weak arguments simply because they are new.
Many tactical training schools made popular by social media have done an enthusiastic job of training organizations and individuals, but for the most part they have not prepared tactical shooters with judgment for the real world. Consequently, a lot of flat range training is suitable for use only on the flat range.
_Attached: records of molecules_
+++
Entry 1:
DFT (ωB97M-V/def2-TZVPD) results for C3H5N3 as an isolated structure in a non-equilibrium geometry.

Geometry as XYZ:
```
11
Properties=species:S:1:pos:R:3:forces:R:3:lowdin_charge:R:1
C 0.265 -0.436 -0.405 0.837 -1.114 -0.160 -0.1297
C -0.604 -1.396 0.335 -0.098 0.114 0.078 -0.0677
N 0.678 0.751 0.155 -1.523 0.215 -0.849 -0.2043
N 1.767 1.358 -0.181 0.287 0.019 0.073 0.0976
C -0.648 1.226 -0.156 0.260 1.380 1.143 -0.2988
N -1.568 1.939 -0.185 0.246 -0.572 -0.286 0.1604
H 0.912 -0.816 -1.192 0.035 -0.005 -0.019 0.1269
H 1.656 2.343 0.068 -0.079 -0.130 0.039 0.0634
H -1.261 -1.919 -0.362 0.030 0.063 0.027 0.0855
H -1.214 -0.900 1.089 0.005 -0.012 -0.016 0.0833
H 0.016 -2.149 0.833 0.002 0.041 -0.030 0.0835
```
Positions in Å, forces in eV/Å.

**E_tot**: -281.39954 a.u.

---

Entry 2:
DFT (ωB97M-V/def2-TZVPD) results for one molecule with the formula C3H5N3.

Geometry as XYZ:
```
11
Properties=species:S:1:pos:R:3:forces:R:3:lowdin_charge:R:1
H 2.697 -1.321 -0.282 -0.050 0.099 0.010 0.0402
N 2.040 -0.549 -0.171 -0.239 -0.288 -0.023 0.0747
C 0.844 -0.988 -0.143 0.109 0.139 0.027 -0.2281
C -0.316 -0.104 0.040 0.222 0.220 0.054 -0.3418
N -1.624 -0.662 -0.134 -0.163 0.140 -0.020 0.0487
C -0.115 1.164 0.378 -0.006 0.381 0.179 -0.1075
N 0.042 2.284 0.840 -0.056 -0.650 -0.293 0.1687
H 0.558 -2.043 -0.252 0.095 0.115 0.014 0.1106
H -2.032 -0.421 -1.031 0.044 -0.061 0.098 0.0767
H -2.263 -0.372 0.597 0.067 -0.055 -0.081 0.0768
H 0.210 3.028 0.163 -0.023 -0.042 0.035 0.0809
```
Positions in Å, forces in eV/Å.

**SMILES**: [H]/N=C/C(N)=C=N
**E_tot**: -281.51714 a.u.

---

Entry 3:
DFT (ωB97M-V/def2-TZVPD) results for one molecule with the formula C3H5N3 in a non-equilibrium geometry.

Geometry as XYZ:
```
11
Properties=species:S:1:pos:R:3:forces:R:3:lowdin_charge:R:1
N 0.512 -1.022 -1.687 -1.240 -0.417 -0.139 0.0616
C 0.085 -0.576 -0.543 0.675 0.447 -0.183 -0.6310
C 0.671 0.752 -0.184 -0.891 1.440 1.685 -0.0629
N -0.143 1.368 1.097 -0.007 -1.816 -1.016 0.0764
C -0.904 0.550 1.568 0.951 -1.642 -1.929 0.0495
N -0.604 -1.132 0.452 0.209 0.839 0.164 0.0670
H 0.702 -0.237 -2.319 0.517 -0.365 0.442 0.0193
H 1.705 0.623 0.161 -0.365 0.233 -0.013 0.1196
H 0.607 1.469 -1.007 0.019 0.048 0.444 0.1082
H -1.653 0.258 2.296 0.353 0.413 -0.160 0.1014
H -0.979 -2.052 0.166 -0.223 0.818 0.706 0.0910
```
Positions in Å, forces in eV/Å.

**E_tot**: -281.46247 a.u.

---

Entry 4:
DFT (ωB97M-V/def2-TZVPD) results for one molecule with the formula C3H5N3 in a non-equilibrium geometry.

Geometry as XYZ:
```
11
Properties=species:S:1:pos:R:3:forces:R:3:lowdin_charge:R:1
N -2.003 -0.322 -0.014 -0.128 -0.249 -0.908 0.0864
C -0.646 -0.134 -0.240 0.495 -0.934 -0.109 -0.4053
C 0.118 1.066 -0.164 0.205 -0.404 0.394 -0.0359
C 1.364 0.563 0.142 0.413 0.369 -0.255 -0.1525
N 1.383 -0.764 -0.063 0.118 0.359 0.247 -0.0702
N 0.150 -1.250 -0.355 -0.990 1.456 0.543 0.0517
H -2.552 0.263 0.610 0.795 -0.049 -0.346 0.0928
H -2.163 -1.307 0.119 -0.362 -0.032 0.043 0.0770
+++
In twenty years, the next generation of tactical shooters will adapt our current social media influenced doctrine to address new threats, technologies, and radical ideology. It is uncertain whether platforms such as Instagram will exist in the future and how integrated they will be in our day-to-day lives. For now, social media’s inaugural authority on the advancement of doctrine can either become a platform for knowledge, or devolve into a medium through which companies exploit the naive, and users scream at each other in comment threads with pitchfork outrage.

Aaron is a Special Forces Veteran and founder at Guerrilla Approach LLC.